What Is the Agreement between the Milestone Decision Authority and Program Manager

When it comes to managing a project or program, there are many different roles and responsibilities involved. Two key players in this process are the Milestone Decision Authority (MDA) and the Program Manager (PM). These individuals work closely together to ensure that the project or program is completed successfully and on time.

So, what exactly is the agreement between the MDA and PM? To answer this question, let`s start by defining each role.

Milestone Decision Authority (MDA)

The MDA is responsible for approving major milestones throughout the project or program. This includes things like determining which milestones are necessary, evaluating progress towards those milestones, and ultimately deciding whether or not to approve them. The MDA is typically a higher-level executive who has the authority to make decisions related to the project or program.

Program Manager (PM)

The PM is responsible for managing the day-to-day operations of the project or program. This includes tasks like developing and implementing plans, overseeing team members, and ensuring that milestones are met. The PM is typically a lower-level manager who reports to the MDA and is responsible for executing the MDA`s decisions and directives.

Now that we understand the basic roles of the MDA and PM, let`s look at how they work together.

┌──
Material: TeAs2Pb
Method: DFT, meta-GGA SCAN
State: single point on PBEsol structure

Calculated values
Its symmetry is P4/mmm (123). The value obtained for the total magnetization is 0.000 μB/atom. As for the calculated volume: 93 Å³/f.u. As for the energy relative to the elements, uncorrected: 34.2 kJ/mol of atoms. As for the energy above the most stable polymorph in this dataset: 0.246 eV/atom.

Cell and atoms, written as POSCAR:
```
TeAs2Pb
1.0
3.618 0.000 0.000
0.000 5.061 0.000
0.000 0.000 5.061
Pb As Te
1 2 1
direct
0.500 0.500 0.500 Pb
0.000 0.000 0.500 As
0.000 0.500 0.000 As
0.500 0.000 0.000 Te
```

Material: CdGaI2O
Method: DFT, meta-GGA SCAN
State: single point on PBEsol structure

Calculated values
Its symmetry is P4/mmm (123). The value obtained for the total magnetization is 0.193 μB/atom. As for the calculated volume: 142 Å³/f.u. As for the energy relative to the elements, uncorrected: -14.2 kJ/mol of atoms.

Cell and atoms, written as POSCAR:
```
CdGaI2O
1.0
4.112 0.000 0.000
0.000 5.876 0.000
0.000 0.000 5.876
I O Ga Cd
2 1 1 1
direct
0.000 0.000 0.500 I
0.000 0.500 0.000 I
0.500 0.000 0.000 O
0.500 0.500 0.500 Ga
0.000 0.000 0.000 Cd
```

Material: Li2NiO2
Method: DFT, meta-GGA SCAN
State: single point on PBEsol structure

Calculated values
Its symmetry is R-3m (166). The value obtained for the total magnetization is 0.394 μB/atom. As for the calculated volume: 49 Å³/f.u. As for the energy relative to the elements, uncorrected: -159.3 kJ/mol of atoms. As for the energy above the most stable polymorph in this dataset: 0.092 eV/atom.

Cell and atoms, written as POSCAR:
```
Li2NiO2
1.0
3.028 0.000 0.000
1.514 2.623 0.000
1.514 0.874 6.190
Ni O Li
1 2 2
direct
0.000 0.000 0.000 Ni
0.396 0.396 0.811 O
0.604 0.604 0.189 O
0.237 0.237 0.289 Li
0.763 0.763 0.711 Li
```

Material: Y5BiPd2
Method: DFT, meta-GGA SCAN
State: single point on PBEsol structure

Calculated values
Its symmetry is I4/mcm (140). The value obtained for the total magnetization is 0.000 μB/atom. The formation energy from the elements comes out at -834 meV/atom. As for the calculated volume: 202 Å³/f.u.

Cell and atoms, written as POSCAR:
```
Y5BiPd2
1.0
-6.986 3.304 -0.056
0.177 -8.676 -0.706
1.313 2.896 7.044
Y Bi Pd
10 2 4
direct
0.000 0.000 0.000 Y
0.500 0.000 0.500 Y
0.204 0.719 0.015 Y
0.796 0.281 0.985 Y
0.515 0.719 0.704 Y
0.704 0.719 0.204 Y
0.985 0.281 0.485 Y
0.485 0.281 0.296 Y
0.296 0.281 0.796 Y
0.015 0.719 0.515 Y
0.750 0.500 0.750 Bi
0.250 0.500 0.250 Bi
0.865 0.000 0.635 Pd
0.135 0.000 0.365 Pd
0.365 0.000 0.865 Pd
0.635 0.000 0.135 Pd
```

Material: ReAu2F
Method: DFT, meta-GGA SCAN
State: single point on PBEsol structure

Calculated values
Its symmetry is Fm-3m (225). The value obtained for the total magnetization is 0.398 μB/atom. As for the calculated volume: 60 Å³/f.u. As for the energy relative to the elements, uncorrected: 45.1 kJ/mol of atoms.

Cell and atoms, written as POSCAR:
```
ReAu2F
1.0
-2.499 -0.502 -3.570
-1.325 -4.004 -1.204
└──

Agreement between MDA and PM

The MDA and PM must work closely together to ensure that the project or program is completed successfully. This means that there needs to be clear communication and collaboration between the two roles.

First, the MDA and PM need to agree on the overall goals and objectives of the project or program. This includes things like the timeline, budget, and scope of the project. Once these goals and objectives are established, the MDA and PM can work together to develop a plan for achieving them.

The plan should include specific milestones that need to be achieved, along with the criteria that will be used to determine whether or not those milestones have been met. The MDA will then evaluate progress towards those milestones and make a decision about whether or not to approve them.

Throughout the project or program, the MDA and PM should continue to communicate regularly to ensure that everything is on track. If there are any issues or challenges that arise, the MDA and PM should work together to develop a solution.

(The text is interrupted by calculated crystals)
____________
Entry 1:
This record from Alexandria via LeMat-Bulk describes a relaxed CaThZn2 crystal. The functional is GGA-PBE.

a = 3.632 Å, b = 3.632 Å, c = 7.542 Å
α = 90.00°, β = 90.00°, γ = 90.00°
Space group P4/mmm (No. 123)
Asymmetric unit:
Ca1 0.000 0.000 0.000 x1
Th1 0.000 0.000 0.500 x1
Zn1 0.500 0.500 0.253 x2

Summary:
Density of states at the Fermi level = 2.795 states/eV/cell
Calculated formation energy = -4.60 kcal/mol of atoms
Calculated volume = 100 Å³/cell
Size of the total moment = 0.00 μB/f.u.
Calculated total energy = -3.192 eV/atom

Entry 2:
This record from Alexandria via LeMat-Bulk describes a relaxed CaThZn crystal. The functional is GGA-PBE.

a = 3.557 Å, b = 3.557 Å, c = 13.630 Å
α = 90.00°, β = 90.00°, γ = 90.00°
Space group I4mm (No. 107)
Asymmetric unit:
Ca1 0.000 0.000 0.000 x2
Th1 0.000 0.000 0.280 x2
Zn1 0.000 0.000 0.644 x2

Summary:
Density of states at the Fermi level = 7.614 states/eV/cell
Offset from the most stable computed form = 0.000 eV per atom
Calculated formation energy = -0.64 kcal/mol of atoms
Calculated volume = 172 Å³/cell
Size of the total moment = 0.01 μB/f.u.
Calculated total energy = -3.593 eV/atom

Entry 3:
This record from Alexandria via LeMat-Bulk describes a relaxed Ca2ThZn9 crystal. The functional is GGA-PBE.

a = 5.5033 Å, b = 5.5033 Å, c = 26.0763 Å
α = 90.00°, β = 90.00°, γ = 120.00°
Space group R-3m (No. 166, hexagonal axes)
Asymmetric unit:
Ca1 0.0000 0.0000 0.1427 x6
Th1 0.0000 0.0000 0.0000 x3
Zn1 0.0000 0.0000 0.3351 x6
Zn2 0.0000 0.0000 0.5000 x3
Zn3 0.0052 0.5026 0.9183 x18

Summary:
Density of states at the Fermi level = 14.978 states/eV/cell
Calculated formation energy = -5.57 kcal/mol of atoms
Calculated volume = 684 Å³/cell
Size of the total moment = 0.00 μB/f.u.
Calculated total energy = -2.149 eV/atom

Entry 4:
This record from Alexandria via LeMat-Bulk describes a relaxed Ca3ThZn4 crystal. The functional is GGA-PBE.

a = 5.1907 Å, b = 5.1907 Å, c = 25.4309 Å
α = 90.00°, β = 90.00°, γ = 120.00°
Space group R-3m (No. 166, hexagonal axes)
Asymmetric unit:
Ca1 0.0000 0.0000 0.0000 x3
Ca2 0.0000 0.0000 0.2527 x6
Th1 0.0000 0.0000 0.5000 x3
Zn1 0.0000 0.0000 0.1263 x6
Zn2 0.0000 0.0000 0.3773 x6

Summary:
Density of states at the Fermi level = 21.291 states/eV/cell
Calculated formation energy = -4.80 kcal/mol of atoms
Calculated volume = 593 Å³/cell
Size of the total moment = 0.00 μB/f.u.
Calculated total energy = -2.523 eV/atom

Entry 5:
This record from Alexandria via LeMat-Bulk describes a relaxed CaTh4Zn5 crystal. The functional is GGA-PBE.

a = 3.670 Å, b = 3.670 Å, c = 18.392 Å
α = 90.00°, β = 90.00°, γ = 90.00°
Space group P4/mmm (No. 123)
Asymmetric unit:
Ca1 0.000 0.000 0.000 x1
Th1 0.000 0.000 0.201 x2
Th2 0.000 0.000 0.401 x2
Zn1 0.500 0.500 0.103 x2
Zn2 0.500 0.500 0.302 x2
Zn3 0.500 0.500 0.500 x1

Summary:
Density of states at the Fermi level = 7.205 states/eV/cell
Calculated formation energy = -4.16 kcal/mol of atoms
Calculated volume = 248 Å³/cell
____________

In conclusion, the agreement between the MDA and PM is critical to the success of any project or program. By working together closely, these two roles can ensure that goals and objectives are met, milestones are achieved, and the project or program is completed successfully. With clear communication and collaboration, the MDA and PM can make sure that everyone is on the same page and that the project or program is a success.